From The Editor | November 4, 2021

Report: Hybrid Clinical Trials Are Here To Stay

Ed Miseta

By Ed Miseta, Chief Editor, Clinical Leader


ISR Reports has released a new report titled Hybrid/Virtual/Decentralized Clinical Trials Market Outlook. The report looks at the adoption of these trials and the components that are gaining the most traction.

To gather the insights, ISR surveyed 109 respondents at sponsors and CROs regarding their experiences with hybrid trials and providers of these services. Though not all reported a smooth, pain-free experience, nearly two-thirds of respondents came away with a positive overall impression of hybrid trials. Furthermore, respondents do not seem to consider the hybrid trial model as a temporary solution to be discarded after the pandemic has subsided. A whopping 83% of respondents expect the hybrid trial model will be used more frequently than the traditional trial model three years from now. These data are saying loud and clear that hybrid trials are here to stay.

Rebecca McAvoy, VP of Market Research, Industry Standard Research
I spoke to Rebecca McAvoy, VP of market research at ISR Reports, to gain additional insights into hybrid trials and to discuss some of the key takeaways from the report.

Entry 1:
Formula: C2H5ClIN
Source: the Open Molecules 2025 dataset
Level of theory: ωB97M-V/def2-TZVPD

Structure (XYZ):
```
10
Properties=species:S:1:pos:R:3:mulliken_charge:R:1
C 1.009 1.544 -0.781 -0.6866
C -1.113 -2.616 0.773 -0.7137
N 0.562 0.981 0.445 -0.3661
Cl -1.060 1.631 0.895 -0.1283
I 0.212 -1.248 0.149 0.4619
H 1.444 0.814 -1.574 0.2461
H 0.228 1.979 -1.439 0.2943
H 1.677 2.326 -0.580 0.3308
H -0.936 -3.054 1.784 0.2667
H -2.023 -2.356 0.327 0.2949
```

Output
Orbital gap (alpha / beta)   0.2877 / 0.2633 Eh
Total charge   0
Energy relative to the best compared isomer or geometry (same formula, charge and spin)   414.05 kJ/mol
Spin multiplicity   1
Calculated total energy   -891.63826 hartree
E_HOMO (alpha / beta)   -8.535 / -8.186 eV

=====

Entry 2:
Formula: C14H42O14
Source: the Open Molecules 2025 dataset
Level of theory: ωB97M-V/def2-TZVPD

Structure (XYZ):
```
70
Properties=species:S:1:pos:R:3:mulliken_charge:R:1
O -0.600 3.725 -0.028 -0.5982
C -0.742 3.775 -1.436 -0.7106
C -0.867 2.329 -1.938 1.6697
O -1.367 2.410 -3.269 -0.6818
H 0.263 3.302 0.125 0.4753
H -1.623 4.354 -1.746 0.4286
H 0.162 4.156 -1.965 0.2438
H -1.628 1.814 -1.321 -0.6037
H 0.056 1.810 -1.910 -0.5680
H -1.388 1.511 -3.599 0.3993
O 4.044 2.063 -2.816 -0.5524
C 3.109 2.757 -1.956 -0.2857
C 2.758 1.722 -0.940 -0.0385
O 2.022 2.477 0.119 -0.6070
H 4.163 2.469 -3.658 0.2973
H 3.547 3.708 -1.545 0.2539
H 2.253 2.919 -2.543 0.1932
H 3.610 1.272 -0.454 0.5665
H 2.135 0.945 -1.405 -0.1927
H 2.019 1.969 0.928 0.1884
O 1.008 0.476 4.982 -0.4885
C 0.969 -0.812 5.447 -0.6715
C 0.646 -1.736 4.202 -0.0247
O -0.771 -1.547 3.901 -0.6516
H 0.115 0.838 5.069 0.3894
H 1.946 -1.141 5.816 0.3939
H 0.232 -0.974 6.288 0.2582
H 0.853 -2.811 4.418 0.3242
H 1.271 -1.445 3.402 0.1389
H -0.914 -1.856 2.995 0.1491
O 4.791 -3.457 -1.674 -0.5516
C 3.713 -2.587 -1.760 -0.1053
C 2.840 -2.974 -3.011 -0.1899
O 2.428 -4.317 -2.947 -0.5361
H 4.490 -4.337 -1.532 0.3297
H 3.097 -2.553 -0.831 0.1033
H 4.000 -1.529 -1.979 0.2088
H 3.408 -2.664 -3.886 0.3796
H 2.008 -2.276 -2.883 0.0506
H 2.512 -4.794 -3.787 0.3159
O -2.062 0.845 4.467 -0.6615
C -2.731 0.477 3.259 0.2664
C -2.764 1.632 2.296 -0.5198
O -1.363 1.703 1.824 -0.4531
H -1.452 0.090 4.562 0.3799
H -2.180 -0.346 2.806 -0.1706
H -3.751 0.155 3.484 0.3403
H -3.039 2.544 2.863 0.3943
H -3.380 1.498 1.429 0.3204
H -1.434 2.549 1.320 0.2011
O -3.035 -1.574 -1.006 -0.5293
C -3.564 -0.290 -1.472 0.2760
C -3.430 -0.113 -2.954 -0.4892
O -2.086 -0.244 -3.377 -0.5891
H -3.656 -2.323 -1.216 0.2651
H -4.618 -0.228 -1.174 0.5372
H -2.986 0.446 -0.866 -0.5170
H -3.755 0.892 -3.221 0.3531
H -4.105 -0.850 -3.421 0.3322
H -1.702 -0.993 -2.878 0.3220
O 0.475 -0.057 0.852 -0.1443
C 0.043 -0.925 -0.197 1.3068
C -0.244 -2.370 0.319 -0.6453
O -1.445 -2.380 1.133 -0.6387
H -0.347 0.367 1.144 0.2238
H -0.854 -0.579 -0.698 -0.4911
H 0.856 -1.023 -0.947 -0.4870
H 0.583 -2.860 0.836 0.3575
H -0.361 -2.927 -0.609 0.3999
H -2.186 -2.105 0.568 0.3601
```

Output

Ed Miseta: Survey respondents noted which remote components are currently being used and which ones they expect to be using in two years. A couple of the findings surprised me. For example, even though decentralized trials allow patients to participate in studies from their homes, only

16% of companies report direct-to-patient shipment of IMP. Only 18% are using wearable sensors/connected health devices. Any thoughts on why those numbers are so low?

Rebecca McAvoy: There certainly was a rush to convert traditional trials to decentralized trials at the start of the pandemic. Although these remote components can facilitate the ability to participate in some parts of clinical trials from home, implementation of these remote components isn’t easy and doesn’t come without risk. Directly shipping IMP to patients comes with concerns about patient safety, patient compliance, cold chain/distribution issues, etc. Using wearable sensors or connected health devices introduces challenges of training patients/sites on use of the devices, device/technology malfunctions, patient compliance, and analyzing massive datasets, to name a few. I expect there to be an uptick in usage of these remote components, but it does take time for companies to get these functionalities up and running and to feel comfortable with these new approaches.

Miseta: Respondents were asked what components of a trial are easier to manage in a hybrid approach and which were easier to manage in a traditional trial. Only patient recruitment and ePRO were cited as easier to manage in a hybrid trial. Seven components were cited as easier to manage in a traditional trial, and six components were noted as not differing between the models. Are some respondents feeling that certain functions are not easier to manage in a hybrid model simply because they have not had sufficient time to evaluate them?

McAvoy: One thing to remember about hybrid trials is that only some of the activities take place at home while other activities still take place in a clinical setting, meaning that those responsible for running the trial need to account for both home-based activities and clinic-based activities, further complicating the already complex process of trial operations. The components that were considered harder to manage in a hybrid setting will likely become easier over time as the folks in charge of the trials become more well-versed in the hybrid trial design and execution.

**The article is interrupted by quantum chemistry results**
=====
{"formula": "C8H22OSi2", "method": "ωB97M-V/def2-TZVPD", "charge": 0, "homo_energy_ev": -7.708, "species": ["C", "H", "H", "H", "H", "H", "H", "H", "C", "C", "C", "H", "H", "H", "H", "H", "Si", "H", "C", "C", "H", "C", "H", "H", "C", "H", "H", "O", "Si", "H", "H", "H", "H"], "xyz": [[0.895, -0.830, -3.599], [-0.237, 3.193, -0.082], [-3.539, 0.424, 3.795], [0.397, -0.185, 3.920], [2.951, 1.268, 0.361], [-1.244, -2.752, -2.800], [1.788, -1.599, -3.643], [1.254, 0.168, -3.936], [-0.032, 2.429, -0.870], [-3.061, -0.508, 3.404], [0.858, 1.410, -0.104], [-0.912, -0.227, -2.643], [-3.710, -0.988, 2.580], [2.513, 2.437, -0.996], [0.459, 1.246, 0.861], [0.751, -0.848, 2.341], [-1.636, 0.205, 2.347], [-2.854, -1.216, 4.069], [-0.028, -0.701, 3.079], [-0.458, -2.225, -2.135], [-0.770, -2.462, -1.051], [0.039, -0.806, -2.367], [-1.071, 1.960, -1.031], [2.141, 3.023, 0.762], [2.255, 2.147, 0.013], [0.423, 2.838, -1.730], [-0.534, -1.589, 3.444], [-1.727, -0.024, 0.830], [1.036, -0.340, -0.820], [0.258, -1.151, -4.574], [-1.447, 1.808, 2.619], [0.410, -3.025, -2.229], [1.855, -1.549, -0.284]]}

{"formula": "C8H23AuCl2O2P2", "method": "ωB97M-V/def2-TZVPD", "spin_multiplicity": 3, "charge": 2, "homo_energy_ev": [-16.495, -17.353], "species": ["H", "H", "C", "C", "C", "H", "H", "H", "H", "C", "H", "C", "Au", "H", "O", "H", "H", "P", "H", "C", "H", "C", "H", "P", "H", "H", "H", "H", "H", "H", "C", "H", "Cl", "Cl", "H", "O", "H", "H"], "xyz": [[-2.482, 0.091, -3.284], [2.553, 2.644, -0.281], [0.109, -3.271, -1.501], [-0.774, -2.983, 1.202], [-1.418, -0.028, -3.025], [-2.249, -0.094, 1.827], [-0.697, -4.078, 1.257], [-0.249, 4.195, -1.660], [2.213, -2.596, 1.620], [-0.311, 3.099, -1.712], [0.335, -4.337, -1.344], [1.765, 3.173, 0.269], [0.508, 0.069, 0.118], [2.138, -4.005, 0.491], [-2.076, 0.187, 2.739], [-0.571, -2.568, 2.197], [-0.961, -0.920, -3.509], [0.174, 2.386, -0.114], [-1.151, 4.096, 0.973], [-1.280, -0.256, -1.562], [-1.992, 2.491, 0.930], [2.062, -2.911, 0.582], [-0.945, -3.166, -1.789], [0.439, -2.319, 0.020], [-1.785, -2.712, 0.868], [-0.837, 0.868, -3.320], [0.352, 2.730, -2.506], [1.968, 3.045, 1.338], [1.753, 4.235, -0.016], [2.828, -2.429, -0.039], [-1.035, 3.008, 1.086], [0.727, -2.859, -2.311], [1.303, -0.363, -2.573], [1.414, 0.223, 2.274], [-1.098, 0.142, 2.823], [-2.174, -0.519, -0.786], [-0.664, 2.783, 2.093], [-1.347, 2.833, -1.949]]}
=====

Miseta: I think the best statistic in the report was the satisfaction level noted by companies using a hybrid approach. Sixty-three percent of respondents noted a somewhat or extremely positive experience using a hybrid approach. Another 24% noted a neutral experience, while only 13% reported a negative experience.  Companies are not using most of the capabilities available in a hybrid approach, and there are only a few capabilities that they note are easier to manage in a hybrid trial. That being the case, to what do you attribute that high satisfaction rating? 

McAvoy: Based on responses in other areas of the survey, I have a few thoughts. The top ‘lesson learned’ is that the hybrid approach can work. I think people are pleased that their trials didn’t have to completely shut down amid the pandemic. There had been dabbling in these types of trials prior to the pandemic but the pandemic forced companies to jump in with both feet, regardless of apprehension. Some aspects of hybrid trials that have gone well are higher quality/faster data, easier patient recruitment, improved patient compliance, and easier/more flexible for patients. I suspect those qualities of hybrid trials played a role in the positive satisfaction rating.

Miseta: The most important lesson learned by respondents is that the hybrid approach can work, followed by that approach requiring significant planning and project management and patients being open to them. Were you able to determine from respondents what some of the additional planning and management requirements were that do not exist in traditional trials?

McAvoy: As we all know, hybrid trials were new for many in the industry prior to the pandemic so this was not a space in which people had a lot of prior experience to draw from. Also, as I mentioned before, hybrid trials are designed to have both in-clinic and remote components, creating additional challenges related to set-up, coordination, and communication. The following quote about ‘lessons learned’ sheds light on several of these ideas: “Extreme planning for each visit required, advance patient reminders, provide opportunity for direct person to person communication with patient together with their physician before and after each visit…

Miseta: I feel like one of the primary concerns about hybrid trials that I hear from sponsor companies is the quality of the data that will be gathered from patients. Yet the report asked respondents what aspects of their hybrid trials have gone well, and the number one answer was higher quality and faster data. Are the concerns over data quality a bit overblown?

McAvoy: Interestingly, perspectives on the quality of data in hybrid trials can vary. We asked respondents to share, in their own words, what has worked well with hybrid trials and what has been frustrating. “Higher quality/faster data” was the most mentioned response for aspects that have gone well; however, “data concerns” was tied for the second most mentioned response for aspects that have been frustrating. It all comes down to individual experience. If data collection and management has gone smoothly, the person responsible for that trial might say that higher quality/faster data is a great benefit of hybrid trials. On the other hand, if someone has had data-related challenges in their hybrid trials, they might not have as rosy of a perspective. 

Miseta: When asked what aspects of their hybrid trials have been the most frustrating, the number one answer was technology-related issues. Number two was setting up the model. These issues may fade as the model gains increased usage, but it does make me wonder if many companies are attempting to set up these trials themselves rather than engaging with vendors who have the required expertise.

McAvoy: Just as this trial design is new for sponsors, it is also new for service providers. CROs don’t necessarily have all the answers either and may have a steep learning curve when it comes to hybrid trial design and execution. We didn’t ask specifically about whether sponsors are attempting to set up trials on their own, but we do know that hybrid trials often involve additional vendors compared to traditional trials which adds complexity to the overall trial management for the sponsor.

Miseta: When asked about the potential benefit to sponsors and CROs, respondents noted better patient recruitment, retention, compliance, and diversity. All of these are issues that have plagued clinical trials for years. As the adoption of these trials increases, can we expect to finally make a dent in these industry challenges?  

McAvoy: Yes, I think hybrid trials will be a great tool for improving some of the age-old challenges related to recruitment, retention, compliance, and diversity. Because of the ability to participate from home, patients in the more difficult-to-reach demographics will have increased participation opportunities. Improved patient compliance and recruitment come up frequently as benefits of these trials. Being able to complete at least some trial activities remotely facilitates easier participation and lower likelihood of dropping out, particularly for patients for whom travel is difficult.

Please visit ISR Reports for more information on the Hybrid/Virtual/Decentralized Clinical Trials Market Outlook.